Request.
What is needed: count the lines underneath that contain the word "Er" and give the number alone.

Entries.
<<<
Material: Sc2Ni2Os
Method: DFT, PBE-GGA
State: relaxed

Geometry as POSCAR:
```
Sc2Ni2Os
1.0
6.526 0.000 0.000
0.000 6.526 0.000
0.000 0.000 3.677
Sc Ni Os
4 4 2
Direct
0.182 0.318 0.000 Sc
0.318 0.818 0.000 Sc
0.682 0.182 0.000 Sc
0.818 0.682 0.000 Sc
0.125 0.625 0.500 Ni
0.375 0.125 0.500 Ni
0.625 0.875 0.500 Ni
0.875 0.375 0.500 Ni
0.000 0.000 0.500 Os
0.500 0.500 0.500 Os
```

Summary:
Space-group type: P4/mbm (127)
V (Å³ per atom): 15.659
Formation energy (eV/atom): -0.306

Material: YHoCuOs
Method: DFT, PBE-GGA
State: relaxed

Geometry as POSCAR:
```
YHoCuOs
1.0
0.000 3.430 3.430
3.430 0.000 3.430
3.430 3.430 0.000
Y Ho Cu Os
1 1 1 1
Direct
0.000 0.000 0.000 Y
0.500 0.500 0.500 Ho
0.750 0.750 0.750 Cu
0.250 0.250 0.250 Os
```

Summary:
Space-group type: F-43m (216)
V (Å³ per atom): 20.173
Formation energy (eV/atom): -0.255

Material: SbPSeBr2
Method: DFT, PBE-GGA
State: relaxed

Geometry as POSCAR:
```
SbPSeBr2
1.0
4.972 0.000 0.000
0.000 4.972 0.000
0.000 0.000 5.193
Sb P Se Br
1 1 1 2
Direct
0.000 0.000 0.000 Sb
0.500 0.500 0.500 P
0.500 0.500 0.000 Se
0.000 0.500 0.500 Br
0.500 0.000 0.500 Br
```

Summary:
Space-group type: P4/mmm (123)
V (Å³ per atom): 25.674
Energy relative to the elements, uncorrected (meV per atom): 321

Material: LiCa2Pa3N6
Method: DFT, PBE-GGA
State: relaxed

Geometry as POSCAR:
```
LiCa2Pa3N6
1.0
7.550 -1.781 0.000
7.550 1.781 0.000
-1.334 0.000 6.815
Li Ca Pa N
1 2 3 6
Direct
0.000 0.000 0.000 Li
0.334 0.334 0.668 Ca
0.666 0.666 0.332 Ca
0.000 0.000 0.500 Pa
0.337 0.337 0.161 Pa
0.663 0.663 0.839 Pa
0.158 0.158 0.608 N
0.177 0.177 0.066 N
0.491 0.491 0.279 N
0.509 0.509 0.721 N
0.823 0.823 0.934 N
0.842 0.842 0.392 N
```

Summary:
Space-group type: C2/m (12)
V (Å³ per atom): 15.275
Energy relative to the elements, uncorrected (meV per atom): -1377

Material: Er8BiSb5
Method: DFT, PBE-GGA
State: relaxed

Geometry as POSCAR:
```
Er8BiSb5
1.0
-4.579 4.579 4.564
4.579 -4.579 4.564
4.579 4.579 -4.564
Er Bi Sb
8 1 5
Direct
0.026 0.124 0.755 Er
0.234 0.482 0.604 Er
0.370 0.271 0.245 Er
0.370 0.766 0.248 Er
0.518 0.123 0.752 Er
0.729 0.974 0.098 Er
0.876 0.630 0.902 Er
0.877 0.630 0.396 Er
0.750 0.250 0.500 Bi
0.128 0.004 0.377 Sb
0.250 0.872 0.876 Sb
0.500 0.500 0.000 Sb
0.627 0.750 0.623 Sb
0.996 0.373 0.124 Sb
```

Summary:
Space-group type: I-4 (82)
V (Å³ per atom): 27.335
Energy relative to the elements, uncorrected (meV per atom): -901

Material: LaZrOs
Method: DFT, PBE-GGA
State: relaxed

Geometry as POSCAR:
```
LaZrOs
1.0
4.704 0.000 0.000
-2.352 4.074 0.000
0.000 0.000 3.472
La Zr Os
1 1 1
Direct
0.000 0.000 0.000 La
0.667 0.333 0.601 Zr
0.333 0.667 0.352 Os
```

Summary:
Space-group type: P3m1 (156)
V (Å³ per atom): 22.184
Formation energy (eV/atom): 0.104

Material: ZnSbPt2
Method: DFT, PBE-GGA
State: relaxed

Geometry as POSCAR:
```
ZnSbPt2
1.0
2.118 1.223 4.770
-2.118 1.223 4.770
0.000 -2.446 4.770
Zn Sb Pt
1 1 2
Direct
0.000 0.000 0.000 Zn
0.810 0.810 0.810 Sb
0.391 0.391 0.391 Pt
0.593 0.593 0.593 Pt
```

Summary:
Space-group type: R3m (160)
V (Å³ per atom): 18.536
Energy relative to the elements, uncorrected (meV per atom): -279

Material: Tl2FeAg
Method: DFT, PBE-GGA
State: relaxed

Geometry as POSCAR:
```
Tl2FeAg
1.0
1.634 0.943 9.168
-1.634 0.943 9.168
0.000 -1.887 9.168
Tl Fe Ag
2 1 1
Direct
0.246 0.246 0.246 Tl
0.754 0.754 0.754 Tl
0.500 0.500 0.500 Fe
0.000 0.000 0.000 Ag
```

Summary:
Space-group type: R-3m (166)
V (Å³ per atom): 21.196
Formation energy (eV/atom): 0.504

Material: Tb2SnSe
Method: DFT, PBE-GGA
State: relaxed

Geometry as POSCAR:
```
Tb2SnSe
1.0
2.116 1.221 7.083
-2.116 1.221 7.083
0.000 -2.443 7.083
Tb Sn Se
2 1 1
Direct
0.247 0.247 0.247 Tb
0.753 0.753 0.753 Tb
0.000 0.000 0.000 Sn
0.500 0.500 0.500 Se
```

Summary:
Space-group type: R-3m (166)
V (Å³ per atom): 27.452
Energy relative to the elements, uncorrected (meV per atom): -1234

Material: Cs3CuAu2I6
Method: DFT, PBE-GGA
State: relaxed

Geometry as POSCAR:
```
Cs3CuAu2I6
1.0
8.655 0.000 0.000
>>>

Response.
9